FBI Audit Exposes Widespread Abuse Of Patriot Act Powers

=====
{
  "formula": "C29H53BF10N3O12",
  "method": "ωB97M-V with the def2-TZVPD basis set",
  "symbols": ["C", "C", "C", "C", "C", "N", "C", "N", "C", "C", "O", "C", "C", "F", "F", "C", "F", "F", "C", "F", "F", "C", "F", "F", "C", "C", "F", "N", "C", "C", "C", "O", "O", "C", "C", "O", "C", "C", "F", "C", "C", "O", "B", "O", "O", "H", "H", "H", "H", "H", "H", "H", "H", "H", "H", "H", "H", "H", "H", "H", "H", "H", "H", "H", "H", "H", "H", "H", "H", "H", "H", "H", "H", "H", "H", "H", "H", "H", "C", "O", "H", "H", "H", "H", "C", "O", "H", "H", "H", "H", "C", "O", "H", "H", "H", "H", "C", "O", "H", "H", "H", "H", "C", "O", "H", "H", "H", "H"],
=====

WASHINGTON – A report released today by the Department of Justice’s Office of the Inspector General (OIG) on the FBI’s use of National Security Letters (NSLs) reveals a systemic, widespread abuse of power. The FBI’s authority to issue NSLs was widely expanded by the USA Patriot Act and it has been increasingly used to collect private information on American citizens without court approval. Today’s audit follows a report released last year that found serious breaches of department regulations and multiple potential violations of the law.

Remarkably, today’s report notes two instances where the FBI, on its own initiative, issued NSLs to get sensitive information after the FISA court had already rejected its requests. There are currently bills in both the House and Senate that would narrow the scope of the FBI’s NSL authority and bring the statute back in line with the Constitution.

"The FBI has flagrantly put aside the rule of law and its internal guidelines time and again," said Michael German, ACLU National Security Policy Counsel and former FBI Agent. "Without an outside check, agents are able to demand at will and ask questions later. This is the kind of abuse that is inevitable when we broaden the government’s surveillance power and do not attempt to modernize privacy standards. Both the House and Senate have bills waiting to be marked up that will greatly limit this authority. Congress needs to act on this now."

The ACLU has successfully challenged the NSL power in two separate lawsuits. In one case, involving an Internet Service Provider, a federal court in September struck down the NSL provision of the Patriot Act, declaring unconstitutional its gag orders, which forbid recipients of NSLs from telling anyone about the record demand. The government is currently appealing the decision. In addition, the ACLU filed a lawsuit last June to enforce its Freedom of Information Act request to force the Department of Defense and the CIA to turn over documents concerning those agencies’ use of NSLs. That lawsuit is pending.

"The Inspector General’s report makes abundantly clear that the FBI has been given far too much surveillance power. Because this power is not subject to meaningful judicial oversight, it is being grossly abused," said Jameel Jaffer, Director of the ACLU’s National Security Project. "Despite claims by the Justice Department that the problems have been fixed, we believe that the abuse continues today. There is a pressing need for stricter guidelines and more robust oversight. The Inspector General’s report shows what happens when the FBI is asked to police itself."

Misplaced calculated molecules >
/*
The following is a DFT calculation (ωB97M-V/def2-TZVPD) of a molecular structure, C18H35N2O4PPdS4Te at a distorted geometry.

Output
Total energy (a.u.): -3447.40490
Highest occupied orbital energy (spin up / spin down) (eV): -6.36 / -6.36
Maximum force (eV Å⁻¹): 1.514
Spin multiplicity: 1
LUMO energy (spin up / spin down) (eV): -2.7360 / -2.7390
Frontier orbital gap (spin up / spin down) (eV): 3.6 / 3.6

XYZ file:
```
66
Properties=species:S:1:pos:R:3:forces:R:3:lowdin_charge:R:1
Pd -0.240 0.716 0.085 0.547 -0.659 0.937 0.4019
S 1.912 1.085 -0.980 -0.643 -0.399 -0.634 0.2076
S 3.494 1.916 -0.318 0.259 -0.197 0.213 0.0859
S 3.072 3.473 0.857 0.370 0.302 0.192 0.0291
S 1.209 3.801 0.808 -0.305 0.343 -0.169 0.2020
N 0.107 1.293 2.197 0.085 0.542 -0.314 -0.0461
C -0.827 0.641 3.115 0.175 -0.066 0.315 -0.2165
C -2.096 0.397 2.363 -0.179 0.044 -0.003 -0.2185
N -1.711 -0.312 1.137 -0.433 -0.073 -0.617 -0.0669
H 1.050 1.335 2.566 0.001 -0.114 -0.015 0.0703
H -0.204 2.249 2.011 0.023 -0.145 0.165 -0.0098
H -1.024 1.232 4.012 0.086 0.091 -0.007 0.1279
H -0.386 -0.301 3.430 -0.008 -0.048 0.007 0.0920
H -2.563 1.335 2.069 0.016 0.027 -0.017 0.1018
H -2.800 -0.165 2.979 -0.024 -0.185 -0.121 0.1270
H -2.516 -0.518 0.551 0.049 -0.036 0.027 0.0477
H -1.192 -1.178 1.324 0.246 0.027 -0.112 0.0854
C 3.132 -0.487 2.291 0.021 0.200 -0.044 -0.0991
C 2.873 -1.916 2.747 -0.183 -0.111 0.081 -0.3676
C 1.801 -1.966 3.840 0.009 0.087 0.068 -0.0601
C 2.511 -2.881 1.635 0.558 -0.289 0.355 -0.1490
C 3.105 -4.142 1.685 0.096 0.202 -0.025 -0.0653
C 2.846 -5.117 0.738 -0.046 0.088 0.007 -0.1133
C 1.985 -4.786 -0.297 -0.073 0.141 -0.123 -0.0615
C 1.355 -3.546 -0.372 -0.035 -0.501 -0.445 -0.1431
C 0.446 -3.298 -1.565 -0.080 0.059 0.144 -0.3654
C 0.913 -2.121 -2.420 0.066 0.049 -0.005 -0.0974
C -1.024 -3.126 -1.167 -0.019 -0.128 -0.044 -0.0769
C 1.555 -2.583 0.643 -0.940 0.849 0.176 -0.3079
O 0.811 -1.480 0.710 0.525 -0.767 0.078 -0.2318
H 3.410 0.142 3.145 0.020 -0.028 -0.015 0.0810
H 2.243 -0.082 1.806 0.090 -0.102 -0.055 0.0116
H 3.953 -0.457 1.572 -0.009 0.003 -0.014 0.0708
H 3.810 -2.280 3.177 0.000 -0.037 0.076 0.1235
H 0.830 -1.769 3.387 0.000 -0.069 0.006 0.0490
H 1.983 -1.227 4.629 0.002 -0.015 -0.041 0.0766
H 1.761 -2.952 4.305 0.000 -0.006 -0.041 0.0814
H 3.798 -4.353 2.496 -0.005 0.014 -0.027 0.1045
H 3.311 -6.093 0.793 0.006 0.005 -0.006 0.0891
H 1.787 -5.513 -1.079 -0.004 0.017 0.015 0.1023
H 0.511 -4.196 -2.185 -0.004 -0.024 -0.028 0.1205
H 0.756 -1.185 -1.884 0.034 -0.069 -0.004 -0.0394
H 0.362 -2.074 -3.364 -0.013 -0.013 0.035 0.0742
H 1.978 -2.203 -2.648 -0.028 -0.007 -0.019 0.0855
H -1.120 -2.272 -0.501 0.005 0.016 -0.010 0.0182
H -1.393 -4.015 -0.650 0.010 0.042 0.006 0.0837
H -1.657 -2.959 -2.045 0.039 -0.018 -0.002 0.0683
C 0.636 3.387 -3.544 0.149 0.005 -0.118 -0.0903
C -0.691 3.938 -3.095 0.055 0.055 0.142 -0.2936
O -0.848 3.736 -1.679 0.210 0.045 -0.084 -0.3210
P -1.946 2.784 -1.045 -0.380 0.435 1.400 0.1285
O -1.768 2.742 0.446 -0.197 0.490 -0.890 -0.4221
*/
So much for the calculated molecules >

There are several more IG reports outstanding, including a review of the FBI's involvement in the mistreatment of detainees in Iraq, Afghanistan and Guantánamo Bay, Cuba. Today's media reports indicating that FBI agents were filmed "manhandling" a terrorism suspect in detention reinforce the need for these reports to be completed and made available to the public in a timely manner.